### Input
~~~
[1]
VASP calculation (r²SCAN) on B17F27 after structural relaxation.

Total magnetization ... 0.0 μB per cell
Space group ... P-1 (2)
Final energy ... -6.991 eV/atom
Theoretical density ... 2.1 g/cm3
Crystal system ... triclinic

Cell and atoms, written as extended XYZ:
```
88
Lattice="7.1276 0.0244 -0.0191 2.0184 12.7532 -0.0167 2.3754 4.3145 12.1341" Properties=species:S:1:pos:R:3 pbc="T T T"
B 9.4213 12.1790 11.8518
B 2.1001 4.9130 0.2465
B 8.9788 12.8293 10.2189
B 2.5426 4.2627 1.8793
B 9.9932 14.2020 9.7154
B 1.5282 2.8900 2.3829
B 8.9566 14.1327 11.2237
B 2.5648 2.9593 0.8746
B 10.0550 12.0474 9.1332
B 1.4664 5.0446 2.9650
B 7.3970 12.3719 9.7631
B 4.1244 4.7202 2.3352
B 10.0549 15.3596 11.7433
B 1.4665 1.7324 0.3550
B 7.4272 14.4638 11.8931
B 4.0942 2.6282 0.2052
B 7.9308 8.5772 9.1842
B 3.5906 8.5148 2.9140
B 8.9615 10.6327 5.9342
B 2.5599 6.4593 6.1641
B 8.5512 13.3347 5.7239
B 2.9702 3.7573 6.3743
B 7.1835 9.6186 3.6300
B 4.3379 7.4735 8.4682
B 5.7323 11.7831 2.9604
B 5.7891 5.3089 9.1378
B 7.9990 11.8038 5.1615
B 3.5224 5.2882 6.9368
B 7.6213 12.7806 3.6444
B 3.9001 4.3115 8.4538
B 6.8801 11.2319 4.1070
B 4.6413 5.8601 7.9913
B 5.9975 11.3414 5.6899
B 5.5239 5.7506 6.4084
F 9.9243 16.6053 11.3315
F 1.5971 0.4867 0.7668
F 4.5839 9.6012 0.8788
F 6.9375 7.4908 11.2195
F 6.6440 15.3203 11.2627
F 4.8774 1.7717 0.8356
F 2.9189 6.3403 11.5962
F 8.6025 10.7517 0.5020
F 4.4581 5.0259 3.5850
F 7.0633 12.0661 8.5133
F 5.1129 4.7307 1.4475
F 6.4085 12.3613 10.6508
F 1.5862 4.8789 4.2879
F 9.9352 12.2131 7.8104
F 7.7418 5.9898 2.5454
F 3.7796 11.1022 9.5529
F 2.0419 2.0655 3.2944
F 9.4795 15.0265 8.8039
F 7.3053 2.9643 2.2768
F 4.2161 14.1277 9.8215
F 5.3973 9.8899 11.7227
F 6.1241 7.2021 0.3756
F 6.1780 4.6618 6.0664
F 5.3434 12.4303 6.0319
F 5.7195 6.8630 5.7403
F 5.8019 10.2290 6.3580
F 4.5739 3.1436 8.3362
F 6.9475 13.9484 3.7621
F 2.9152 4.3451 9.3529
F 8.6062 12.7469 2.7454
F 7.0504 5.1450 8.7941
F 4.4710 11.9470 3.3042
F 5.5103 5.2437 10.4454
F 6.0111 11.8484 1.6529
F 3.9509 8.3942 7.5942
F 7.5705 8.6979 4.5041
F 4.4423 7.8645 9.7367
F 7.0791 9.2276 2.3616
F 3.6873 3.0926 5.4912
F 7.8341 13.9994 6.6071
F 1.7897 3.2944 6.7320
F 9.7317 13.7976 5.3663
F 2.9510 7.1646 5.1053
F 8.5704 9.9274 6.9929
F 8.4662 6.7171 6.5994
F 3.0552 10.3749 5.4989
F 3.2197 9.2858 11.9837
F 8.3017 7.8062 0.1146
F 3.4212 7.3671 2.2772
F 8.1002 9.7249 9.8211
F 2.6371 9.4209 2.8995
F 8.8843 7.6711 9.1988
F 4.7068 8.7452 3.5797
F 6.8146 8.3468 8.5185
```



[2]
VASP calculation (r²SCAN) on InBF4 after structural relaxation.

Total magnetization ... 0.0 μB per cell
Space group ... Pnma (62)
Final energy ... -9.753 eV/atom
Theoretical density ... 3.7 g/cm3
Crystal system ... orthorhombic

Cell and atoms, written as extended XYZ:
```
24
Lattice="5.5530 0.0000 0.0000 0.0000 7.2636 0.0000 0.0000 0.0000 9.0269" Properties=species:S:1:pos:R:3 pbc="T T T"
In 1.3883 2.4203 6.1937
In 4.1648 4.8433 2.8332
In 4.1648 6.0522 7.3466
In 1.3883 1.2115 1.6803
B 1.3883 4.9974 0.5761
B 1.3883 5.8981 5.0895
B 4.1648 1.3656 3.9374
B 4.1648 2.2662 8.4509
F 3.0158 2.1847 3.8087
F 5.3138 1.4471 8.3222
F 2.5373 5.8165 0.7047
F 0.2393 5.0790 5.2182
F 1.3883 4.0469 1.6137
F 4.1648 3.2168 7.4132
F 4.1648 0.4150 2.8998
F 1.3883 6.8486 6.1271
F 1.3883 4.3800 8.3505
F 4.1648 2.8836 0.6764
F 4.1648 0.7482 5.1898
F 1.3883 6.5154 3.8371
F 0.2393 5.8165 0.7047
F 3.0158 1.4471 8.3222
F 5.3138 2.1847 3.8087
F 2.5373 5.0790 5.2182
```



[3]
VASP calculation (r²SCAN) on KBF4 after structural relaxation.

Total magnetization ... 0.0 μB per cell
Space group ... Pnma (62)
Final energy ... -7.520 eV/atom
Theoretical density ... 2.6 g/cm3
Crystal system ... orthorhombic

Cell and atoms, written as extended XYZ:
```
24
Lattice="5.3624 0.0000 0.0000 0.0000 6.9410 0.0000 0.0000 0.0000 8.5337" Properties=species:S:1:pos:R:3 pbc="T T T"
K 1.3406 2.3687 5.8290
K 4.0218 4.5723 2.7048
K 4.0218 5.8392 6.9716
K 1.3406 1.1018 1.5621
B 1.3406 4.7832 0.5436
B 1.3406 5.6283 4.8105
B 4.0218 1.3127 3.7232
~~~

### Job
What is needed: set down the whole of the material above unchanged.

### Written answer
[1]
VASP calculation (r²SCAN) on B17F27 after structural relaxation.

Total magnetization ... 0.0 μB per cell
Space group ... P-1 (2)
Final energy ... -6.991 eV/atom
Theoretical density ... 2.1 g/cm3
Crystal system ... triclinic

Cell and atoms, written as extended XYZ:
```
88
Lattice="7.1276 0.0244 -0.0191 2.0184 12.7532 -0.0167 2.3754 4.3145 12.1341" Properties=species:S:1:pos:R:3 pbc="T T T"
B 9.4213 12.1790 11.8518
B 2.1001 4.9130 0.2465
B 8.9788 12.8293 10.2189
B 2.5426 4.2627 1.8793
B 9.9932 14.2020 9.7154
B 1.5282 2.8900 2.3829
B 8.9566 14.1327 11.2237
B 2.5648 2.9593 0.8746
B 10.0550 12.0474 9.1332
B 1.4664 5.0446 2.9650
B 7.3970 12.3719 9.7631
B 4.1244 4.7202 2.3352
B 10.0549 15.3596 11.7433
B 1.4665 1.7324 0.3550
B 7.4272 14.4638 11.8931
B 4.0942 2.6282 0.2052
B 7.9308 8.5772 9.1842
B 3.5906 8.5148 2.9140
B 8.9615 10.6327 5.9342
B 2.5599 6.4593 6.1641
B 8.5512 13.3347 5.7239
B 2.9702 3.7573 6.3743
B 7.1835 9.6186 3.6300
B 4.3379 7.4735 8.4682
B 5.7323 11.7831 2.9604
B 5.7891 5.3089 9.1378
B 7.9990 11.8038 5.1615
B 3.5224 5.2882 6.9368
B 7.6213 12.7806 3.6444
B 3.9001 4.3115 8.4538
B 6.8801 11.2319 4.1070
B 4.6413 5.8601 7.9913
B 5.9975 11.3414 5.6899
B 5.5239 5.7506 6.4084
F 9.9243 16.6053 11.3315
F 1.5971 0.4867 0.7668
F 4.5839 9.6012 0.8788
F 6.9375 7.4908 11.2195
F 6.6440 15.3203 11.2627
F 4.8774 1.7717 0.8356
F 2.9189 6.3403 11.5962
F 8.6025 10.7517 0.5020
F 4.4581 5.0259 3.5850
F 7.0633 12.0661 8.5133
F 5.1129 4.7307 1.4475
F 6.4085 12.3613 10.6508
F 1.5862 4.8789 4.2879
F 9.9352 12.2131 7.8104
F 7.7418 5.9898 2.5454
F 3.7796 11.1022 9.5529
F 2.0419 2.0655 3.2944
F 9.4795 15.0265 8.8039
F 7.3053 2.9643 2.2768
F 4.2161 14.1277 9.8215
F 5.3973 9.8899 11.7227
F 6.1241 7.2021 0.3756
F 6.1780 4.6618 6.0664
F 5.3434 12.4303 6.0319
F 5.7195 6.8630 5.7403
F 5.8019 10.2290 6.3580
F 4.5739 3.1436 8.3362
F 6.9475 13.9484 3.7621
F 2.9152 4.3451 9.3529
F 8.6062 12.7469 2.7454
F 7.0504 5.1450 8.7941
F 4.4710 11.9470 3.3042
F 5.5103 5.2437 10.4454
F 6.0111 11.8484 1.6529
F 3.9509 8.3942 7.5942
F 7.5705 8.6979 4.5041
F 4.4423 7.8645 9.7367
F 7.0791 9.2276 2.3616
F 3.6873 3.0926 5.4912
F 7.8341 13.9994 6.6071
F 1.7897 3.2944 6.7320
F 9.7317 13.7976 5.3663
F 2.9510 7.1646 5.1053
F 8.5704 9.9274 6.9929
F 8.4662 6.7171 6.5994
F 3.0552 10.3749 5.4989
F 3.2197 9.2858 11.9837
F 8.3017 7.8062 0.1146
F 3.4212 7.3671 2.2772
F 8.1002 9.7249 9.8211
F 2.6371 9.4209 2.8995
F 8.8843 7.6711 9.1988
F 4.7068 8.7452 3.5797
F 6.8146 8.3468 8.5185
```



[2]
VASP calculation (r²SCAN) on InBF4 after structural relaxation.

Total magnetization ... 0.0 μB per cell
Space group ... Pnma (62)
Final energy ... -9.753 eV/atom
Theoretical density ... 3.7 g/cm3
Crystal system ... orthorhombic

Cell and atoms, written as extended XYZ:
```
24
Lattice="5.5530 0.0000 0.0000 0.0000 7.2636 0.0000 0.0000 0.0000 9.0269" Properties=species:S:1:pos:R:3 pbc="T T T"
In 1.3883 2.4203 6.1937
In 4.1648 4.8433 2.8332
In 4.1648 6.0522 7.3466
In 1.3883 1.2115 1.6803
B 1.3883 4.9974 0.5761
B 1.3883 5.8981 5.0895
B 4.1648 1.3656 3.9374
B 4.1648 2.2662 8.4509
F 3.0158 2.1847 3.8087
F 5.3138 1.4471 8.3222
F 2.5373 5.8165 0.7047
F 0.2393 5.0790 5.2182
F 1.3883 4.0469 1.6137
F 4.1648 3.2168 7.4132
F 4.1648 0.4150 2.8998
F 1.3883 6.8486 6.1271
F 1.3883 4.3800 8.3505
F 4.1648 2.8836 0.6764
F 4.1648 0.7482 5.1898
F 1.3883 6.5154 3.8371
F 0.2393 5.8165 0.7047
F 3.0158 1.4471 8.3222
F 5.3138 2.1847 3.8087
F 2.5373 5.0790 5.2182
```



[3]
VASP calculation (r²SCAN) on KBF4 after structural relaxation.

Total magnetization ... 0.0 μB per cell
Space group ... Pnma (62)
Final energy ... -7.520 eV/atom
Theoretical density ... 2.6 g/cm3
Crystal system ... orthorhombic

Cell and atoms, written as extended XYZ:
```
24
Lattice="5.3624 0.0000 0.0000 0.0000 6.9410 0.0000 0.0000 0.0000 8.5337" Properties=species:S:1:pos:R:3 pbc="T T T"
K 1.3406 2.3687 5.8290
K 4.0218 4.5723 2.7048
K 4.0218 5.8392 6.9716
K 1.3406 1.1018 1.5621
B 1.3406 4.7832 0.5436
B 1.3406 5.6283 4.8105
B 4.0218 1.3127 3.7232